To go in the dark with a light is to know the light.
To know the dark, go dark. Go without sight,
and find that the dark, too, blooms and sings,
and is traveled by dark feet and dark wings.
-Wendell Berry

As the days get shorter and winter sets in, we each experience the darkness of the season.
Linguistically, darkness has gotten a bad rap from humans. Darkness in allegory means bad, or sad, or frightening: Bad moods are dark, dark colors are ominous, and going to the dark side is obviously not good! The Bible associates light with God, truth, and virtue; darkness is associated with sin and the Devil, and a dark night of the soul indicates a loss of faith.
(These records of crystals were left in the text by mistake)
+++
The following is a PBE with a Hubbard U calculation of an optimized crystal structure of CsLiMnP3HO10, from Alexandria via LeMat-Bulk.

The space group is C2 (No. 5) and the conventional cell measures 9.7172, 8.9192 and 6.6895 Å, with angles of 90.00, 115.72 and 90.00 degrees. The distinct sites, in fractional coordinates, are Cs at (0.0000, 0.0000, 0.0000), Li at (0.0000, 0.0294, 0.5000), Mn at (0.0000, 0.6791, 0.5000), P at (0.0000, 0.5740, 0.0000), P at (0.1859, 0.3998, 0.4178), H at (0.0000, 0.2799, 0.5000), O at (0.0674, 0.6614, 0.8715), O at (0.0855, 0.2608, 0.4110), O at (0.1271, 0.4568, 0.1614), O at (0.1462, 0.8664, 0.5215) and O at (0.1731, 0.5212, 0.5654).

Its total energy is -6.76 eV per atom. The density is 2.85 g/cm3.
+++
But, in truth, the darkness of the night is wondrous: Darkness allows us to see the stars. It dissipates the heat. Shorter days release the leaves to fall. Night blooming flowers need just the right amount of darkness to bloom. Some amphibians only move about at a certain moment of the twilight. Bats need darkness to catch nutritious moths to eat. A cycle of darkness and light is essential for the functioning of ecosystems.
Artificial light emissions at night are increasing rapidly, and have drastically disrupted the natural light and dark cycles. Too much light at night interferes with migrating birds, who need night skies so that they can navigate properly. Sea turtle hatchlings move toward the ocean when they see the glow of the moon on the water, and artificial light confuses them.
Night lights can even disturb the daily rhythm of zooplankton; they stay deep in the water during the day to protect themselves from fish and rise at night to feed on phytoplankton. Even a small amount of light on the surface of the water can prevent zooplankton from feeding, which increases the number of phytoplankton, leading to loss of oxygen in the water, and death for water life.
The daily rhythm of night and day is also essential for our own circadian rhythms. Darkness allows us to sleep, and offers us a natural, nurturing quiet and stillness, a reminder to slow down. In the darkness, we can be with the unknown; we are invited to go beyond what is comfortable and familiar, drop our expectations, and be open to the Great Mystery.
Darkness is not an empty void, but the thing from which all things emerge and to which all things return. Darkness is the other half of light. We have no light without the shadow of darkness, and no shadow without light; they go together as partners.
Tips for finding unity with darkness:
- When night falls, don’t rush to douse the darkness with light. Resist the urge to turn on every light in the house, and light some candles instead.
- Don’t fill the season of darkness with activity: Use it to cultivate your own inner quietness and stillness. Let the season of Christmas develop slowly, and build towards light.
- Practice walking in the dark. Go outside on a cloudless night. If you must carry a flashlight cover the light with a red lens so that it does not disturb the eyes. Wait 5-10 minutes for your eyes to adjust to the darkness before you move about. What do you see? Can you see any stars? Can you see the band of the Milky Way across the sky?
- Change your vocabulary: If our society constantly associates darkness with bad things, this spills into our treatment of humans with darker skin. In other words, our use of the “darkness” metaphor to connote sad or difficult things supports racism.
- Adjust your outdoor lights at home to shine downward, and not outward or up into the sky. Learn how people all over the world are working to reduce light pollution at the International Dark Sky Association.